# What to do
What is needed: return only the lines further below with the word "was" in them.
# File
********
Run w
A plane-wave DFT calculation with PBE-GGA was carried out for a relaxed Dy12ErSc6 crystal.

Size of the total moment = 0.00 μB/f.u.

a b c (Å): 9.027 9.027 9.027
angles (deg): 109.47 109.47 109.47
Fractional positions:
Dy: 0.267 0.070 0.804
Dy: 0.267 0.463 0.196
Dy: 0.733 0.537 0.804
Dy: 0.733 0.930 0.196
Dy: 0.070 0.804 0.267
Dy: 0.463 0.196 0.267
Dy: 0.537 0.804 0.733
Dy: 0.930 0.196 0.733
Dy: 0.804 0.267 0.070
Dy: 0.196 0.267 0.463
Dy: 0.804 0.733 0.537
Dy: 0.196 0.733 0.930
Er: 0.000 0.000 0.000
Sc: 0.362 0.500 0.862
Sc: 0.638 0.500 0.138
Sc: 0.500 0.862 0.362
Sc: 0.500 0.138 0.638
Sc: 0.862 0.362 0.500
Sc: 0.138 0.638 0.500

***

Run x
A plane-wave DFT calculation with PBE-GGA was carried out for a relaxed Dy12ErSc6 crystal.

Size of the total moment = 0.00 μB/f.u.

a b c (Å): 9.046 9.046 9.046
angles (deg): 107.73 107.73 107.73
Fractional positions:
Dy: 0.888 0.112 0.500
Dy: 0.370 0.146 0.370
Dy: 0.370 0.370 0.146
Dy: 0.854 0.630 0.630
Dy: 0.630 0.630 0.854
Dy: 0.630 0.854 0.630
Dy: 0.500 0.888 0.112
Dy: 0.112 0.500 0.888
Dy: 0.112 0.888 0.500
Dy: 0.500 0.112 0.888
Dy: 0.888 0.500 0.112
Dy: 0.146 0.370 0.370
Er: 0.000 0.000 0.000
Sc: 0.687 0.274 0.687
Sc: 0.687 0.687 0.274
Sc: 0.274 0.687 0.687
Sc: 0.313 0.313 0.726
Sc: 0.313 0.726 0.313
Sc: 0.726 0.313 0.313

***

The structure with the least stability is run x.

***

Run w
A plane-wave DFT calculation with PBE-GGA was carried out for a relaxed DyErSc crystal.

Size of the total moment = 0.00 μB/f.u.

a b c (Å): 3.361 5.432 5.432
angles (deg): 120.00 90.00 90.00
Fractional positions:
Sc: 0.167 0.333 0.667
Dy: 0.667 0.667 0.333
Er: 0.167 0.000 0.000

***

Run x
A plane-wave DFT calculation with PBE-GGA was carried out for a relaxed DyErSc crystal.

Size of the total moment = 0.00 μB/f.u.

a b c (Å): 3.372 3.356 15.615
angles (deg): 90.00 90.00 90.00
Fractional positions:
Dy: 0.250 0.250 0.081
Dy: 0.750 0.750 0.919
Er: 0.250 0.750 0.725
Er: 0.750 0.250 0.275
Sc: 0.250 0.750 0.427
Sc: 0.750 0.250 0.573

***

Run y
A plane-wave DFT calculation with PBE-GGA was carried out for a relaxed DyErSc crystal.

Size of the total moment = 0.00 μB/f.u.

a b c (Å): 3.404 8.562 6.085
angles (deg): 90.00 90.00 90.00
Fractional positions:
Er: 0.500 0.189 0.250
Er: 0.500 0.811 0.750
Sc: 0.000 0.141 0.750
Sc: 0.000 0.859 0.250
Dy: 0.000 0.500 0.500
Dy: 0.000 0.500 0.000

***

Run z
A plane-wave DFT calculation with PBE-GGA was carried out for a relaxed DyErSc crystal.

Size of the total moment = 0.00 μB/f.u.

a b c (Å): 3.453 3.453 15.272
angles (deg): 76.91 76.91 90.06
Fractional positions:
Dy: 0.516 0.593 0.998
Dy: 0.840 0.916 0.175
Er: 0.164 0.240 0.350
Er: 0.192 0.269 0.823
Sc: 0.854 0.931 0.661
Sc: 0.502 0.578 0.513

***

The structure with the least stability is run y.

***

Run w
A plane-wave DFT calculation with PBE-GGA was carried out for a relaxed Dy5ErSc crystal.

Size of the total moment = 0.00 μB/f.u.

a b c (Å): 5.976 8.037 7.581
angles (deg): 122.01 113.22 90.00
Fractional positions:
Dy: 0.182 0.248 0.496
Dy: 0.171 0.500 0.000
Dy: 0.686 0.752 0.504
Dy: 0.433 0.824 0.000
Dy: 0.433 0.176 0.000
Er: 0.694 0.500 0.000
Sc: 0.933 0.000 0.000

***

Run x
A plane-wave DFT calculation with PBE-GGA was carried out for a relaxed Dy5ErSc crystal.

Size of the total moment = 0.00 μB/f.u.

a b c (Å): 10.185 6.127 16.680
angles (deg): 32.54 23.63 33.77
Fractional positions:
Dy: 0.524 0.537 0.270
Dy: 0.901 0.605 0.731
Dy: 0.543 0.188 0.909
Dy: 0.125 0.535 0.273
Dy: 0.303 0.607 0.729
Er: 0.893 0.951 0.087
Sc: 0.711 0.077 0.500

***

The structure with the least stability is run w.

***

Run w
A plane-wave DFT calculation with PBE-GGA was carried out for a relaxed Dy5ErSc4 crystal.

Size of the total moment = 0.00 μB/f.u.

a b c (Å): 3.470 3.470 23.577
angles (deg): 90.00 90.00 90.00
Fractional positions:
Dy: 0.500 0.500 0.107
Dy: 0.500 0.500 0.304
Dy: 0.500 0.500 0.500
Dy: 0.500 0.500 0.696
Dy: 0.500 0.500 0.893
Er: 0.000 0.000 0.000
Sc: 0.000 0.000 0.205
Sc: 0.000 0.000 0.402
********
# Response
A plane-wave DFT calculation with PBE-GGA was carried out for a relaxed Dy12ErSc6 crystal.
A plane-wave DFT calculation with PBE-GGA was carried out for a relaxed Dy12ErSc6 crystal.
A plane-wave DFT calculation with PBE-GGA was carried out for a relaxed DyErSc crystal.
A plane-wave DFT calculation with PBE-GGA was carried out for a relaxed DyErSc crystal.
A plane-wave DFT calculation with PBE-GGA was carried out for a relaxed DyErSc crystal.
A plane-wave DFT calculation with PBE-GGA was carried out for a relaxed DyErSc crystal.
A plane-wave DFT calculation with PBE-GGA was carried out for a relaxed Dy5ErSc crystal.
A plane-wave DFT calculation with PBE-GGA was carried out for a relaxed Dy5ErSc crystal.
A plane-wave DFT calculation with PBE-GGA was carried out for a relaxed Dy5ErSc4 crystal.